
Tuesday, November 24, 2009

Senate Candidates Split Over Second Stimulus

Published November 23, 2009 UPDATED 12:07 PM

BOSTON — If the first stimulus was like an alarm that was supposed to wake up the economy and get it back on its feet, the economy slept right through it.

These calculated molecules were left in the piece by mistake =
~~~
C15H8Co2O8S | ωB97M-V with the def2-TZVPD basis set

The value obtained for the max |F| is 4.601 eV/Å. The calculation puts the electronic energy at -4341.763626 a.u. The HOMO energy is -7.80 eV. The value obtained for the LUMO energy is -3.88 eV. The value obtained for the HOMO-LUMO gap is 3.93 eV.

```
34
Properties=species:S:1:pos:R:3:mulliken_charge:R:1
C -3.928 -3.285 1.463 -0.46
C -3.385 -2.015 1.242 -0.57
C -1.997 -1.841 1.179 0.01
C -1.166 -2.933 1.357 0.67
S 0.680 -2.670 1.288 0.97
O 1.153 -2.983 2.636 -0.54
O 1.152 -3.519 0.203 -0.52
C -1.675 -4.204 1.586 -0.62
C -3.071 -4.379 1.630 -0.44
H -5.014 -3.399 1.512 0.36
H -4.031 -1.145 1.118 0.38
H -1.557 -0.864 0.983 0.01
H -1.012 -5.062 1.722 0.37
H -3.508 -5.369 1.799 0.35
O 4.510 2.062 1.494 -0.33
C 3.794 2.544 0.720 0.19
Co 2.675 3.147 -0.483 0.36
C 1.522 4.067 0.461 0.05
O 0.756 4.664 1.086 -0.30
C 3.487 4.299 -1.514 0.16
O 4.024 5.061 -2.211 -0.34
C 2.045 1.538 -1.493 0.25
C 1.182 0.788 -0.684 -1.03
C 1.104 -0.012 0.395 -0.53
Co 0.316 1.848 -1.824 0.22
C -1.141 2.568 -1.055 0.13
O -2.134 3.111 -0.839 -0.31
C -0.370 0.531 -2.814 0.04
O -0.812 -0.264 -3.521 -0.30
C 0.599 3.096 -3.093 0.39
O 0.765 3.880 -3.918 -0.30
H 2.801 1.177 -2.201 0.59
H 0.244 0.129 1.056 0.54
H 1.991 -0.564 0.720 0.56
```


Version P
~~~
End of the calculated molecules =

Some economists says it may not have been set loud enough.

“We’ve not done as good a job with the stimulus as we could have,” said Northeastern University labor market professor Andrew Sum. “It’s not been very well targeted. It’s not been very transparent.”

With the economy basically hitting snooze, the question facing Congress is: Let the economy wake up on its own, or give it another buzz by funding a second federal stimulus package?

Of all the candidates for Massachusetts’ open U.S. Senate seat, Democrat Alan Khazei wants to turn it up the loudest.

“I believe we need an aggressive jobs program,” Khazei said.

Khazei wants tax cuts to spur businesses to hire and invest. He also wants a slew of stimulus spending, like more national service jobs for college grads. But other candidates say Khazei has it all wrong.

“I’m definitely against a second stimulus,” said Republican Jack E. Robinson. “The only thing the stimulus stimulated was the government. And the only way to create jobs is to stimulate the private sector.”

Robinson’s idea is to drop the capital gains tax next year to coax companies into spending more on property and equipment.

His Republican primary opponent, State Sen. Scott Brown, wants to keep the tax code where it is by making President Bush’s tax cuts permanent. Brown does not want more stimulus spending.
“In Massachusetts, we’re 49th out of 50 (states) in actually releasing the money,” Brown said. “So why would we do another stimulus when we haven’t even done the first one?”
In contrast, Attorney General Martha Coakley, a Democrat, is not ruling out a second stimulus package. However, she’s not ruling one in, either.

“I’d want to make sure, before we use dollars, that we’d make sure what worked and what didn’t on Stimulus one,” Coakley said. “Particularly in Massachusetts.”

== Here the text breaks off for quantum chemistry results ==
'''
Formula: C8H11N2O
Source: the Open Molecules 2025 dataset
Level of theory: ωB97M-V/def2-TZVPD

XYZ file:
```
22
Properties=species:S:1:pos:R:3:forces:R:3
H 2.494360 0.660362 -0.349391 -0.43 0.01 0.22
O 1.046760 -3.513415 -3.345011 -2.00 0.11 -0.81
H 2.615425 -3.010823 -2.240689 0.14 -0.18 -0.70
H -2.251022 2.242569 2.873314 0.41 1.06 1.05
H -2.661025 0.863447 -0.427264 -0.31 0.58 0.11
C 1.577055 0.889691 0.201479 1.41 0.08 -1.30
H 2.531301 2.045721 1.684992 -1.61 0.24 -0.77
C 0.347078 1.875067 1.917967 -0.77 -0.56 -1.69
C -0.886557 0.391731 0.433037 0.61 1.33 1.46
H -2.611472 0.735756 2.249103 -1.38 -0.58 0.37
H -2.832841 -0.533580 0.493561 -0.49 -1.02 0.62
N -2.034584 1.528312 2.244210 1.84 -1.93 -2.26
C 2.204566 -3.561699 -3.140546 2.05 -0.11 1.77
C -2.145262 -0.050139 -0.144954 0.54 0.29 -3.13
C -0.823031 1.188576 1.589484 -2.01 1.17 0.54
H -2.005991 -0.509472 -1.197214 -0.36 0.12 2.04
N 0.558676 -0.582378 -1.181407 1.84 0.62 -0.42
C 1.540670 1.723906 1.228072 2.86 0.10 2.12
C 0.378808 0.283096 -0.257885 -0.80 -2.20 -0.76
H 0.235716 2.685184 2.548639 -0.02 1.28 1.87
H -0.199052 -1.133265 -1.502804 -1.28 -0.64 -0.12
H 2.920423 -4.218646 -3.676692 -0.22 0.25 -0.20
```
Forces are in eV/Å.

Values from the calculation:
Molecular weight, g mol⁻¹: 151.2
Lowest unoccupied orbital energy (alpha / beta), eV: -6.9 / -7.0
Relative energy (zero: lowest compared OMol25 entry of this formula, charge and spin), kcal per mole: 108.48
Charge: +1



Formula: C8H11N2O
Source: the Open Molecules 2025 dataset
Level of theory: ωB97M-V/def2-TZVPD

XYZ file:
```
22
Properties=species:S:1:pos:R:3:forces:R:3
C -1.842574 0.782128 0.907672 -1.28 2.01 1.57
C -1.591050 0.764356 -1.477827 -5.09 1.14 -0.52
C -0.317240 0.411128 -1.430712 3.02 -1.36 -0.84
H -3.330622 1.631978 -0.364215 1.15 -0.97 -0.38
H 2.127398 0.236693 1.804410 0.46 1.39 -0.09
O 1.776313 0.083408 -2.502913 -0.60 -1.29 -0.12
H -2.278995 0.743240 -2.335878 1.19 0.13 -0.35
N 0.345178 0.130235 -2.588453 1.95 -0.12 0.85
C -2.331325 1.113622 -0.327429 -1.15 0.11 0.79
H -2.435509 1.097485 1.835518 0.71 -0.77 -1.47
C 1.062127 -1.470405 1.683831 1.23 -3.92 1.68
H 1.001670 -2.508408 2.095693 0.32 1.14 -0.36
H 1.367778 0.615078 -0.092429 -0.15 -0.30 -0.28
H 2.841578 -1.152380 2.635086 -1.22 1.21 -1.02
C -0.477392 0.443380 1.128179 -0.43 -1.64 -1.02
C 0.087880 -1.130720 0.799716 -0.81 5.45 -2.17
H 2.115637 -0.868466 -2.610083 -1.25 1.67 0.11
H -0.166775 0.888802 2.076552 0.80 -0.43 -0.49
C 0.349735 0.229143 -0.145262 0.82 -1.00 2.43
H -0.498498 -1.876364 0.356958 -1.26 -0.60 -0.27
H 0.091364 0.548320 -3.479482 -0.27 -0.12 0.25
N 2.103324 -0.712253 2.031069 1.86 -1.74 1.72
```
Forces are in eV/Å.

Values from the calculation:
Molecular weight, g mol⁻¹: 151.2
Lowest unoccupied orbital energy (alpha / beta), eV: -3.6 / -6.4
2S+1: 3
Relative energy (zero: lowest compared OMol25 entry of this formula, charge and spin), kcal per mole: 22.15
Charge: +1



Formula: C8H11N2O3S
Source: the Open Molecules 2025 dataset
'''

Like Coakley, Democrat Steve Pagliuca is noncommittal about a second round.

“We already have a national debt of over $12 trillion,” Pagliuca said. “That’s a scary number.”
What Pagliuca wants to do is take money from the first stimulus that hasn’t been spent yet and put those couple hundred billion dollars more directly toward job training and creation.

But Democrat Rep. Michael Capuano defends the first stimulus for saving more jobs than people realize, even if it’s not creating many. Capuano did, after all, vote for it. He is a congressman. And he says he’d vote for a second.

Someone pasted quantum chemistry results at this point:
........
DFT (wB97M-V/def2-TZVPD) results for a 17-piece molecular cluster, C60H169N15O17 overall at a distorted geometry.

Geometry as ORCA input:
```
! wB97M-V def2-TZVPD RIJCOSX def2/J DEFGRID3
* xyz 0 1
O 15.92573 15.26094 26.40927
H 16.18115 15.66956 27.26073
H 15.00811 15.48407 26.29006
O 13.31164 16.32945 26.15449
H 12.40031 16.07434 26.34047
H 13.27934 16.99157 25.41244
C 17.17618 20.40958 28.15123
C 17.40758 18.89182 27.93603
C 16.42702 18.13613 28.84868
O 16.68470 16.71710 28.84405
C 15.84881 16.00463 29.74497
N 17.34176 18.54327 26.54711
H 17.31032 20.73866 29.20295
H 16.20797 20.69497 27.75988
H 17.86116 20.99281 27.61643
H 18.45469 18.57634 28.26867
H 15.39315 18.34348 28.53656
H 16.49867 18.49603 29.87814
H 16.06831 16.26794 30.79876
H 16.14695 14.94497 29.67707
H 14.78750 16.12943 29.56651
H 16.46592 18.84847 26.05140
H 17.33149 17.54244 26.40302
C 19.79086 11.60596 20.91176
C 19.87840 10.80170 19.66804
C 21.03314 9.80209 19.72702
O 22.23243 10.57294 19.61760
C 23.00714 10.25911 18.48125
N 18.56905 10.03704 19.40818
H 20.67523 12.28659 21.03202
H 19.63117 11.00647 21.82526
H 18.81779 12.12961 20.85570
H 20.03472 11.35474 18.71760
H 21.05330 9.04256 18.91372
H 20.98330 9.35547 20.69795
H 23.08122 9.17814 18.22983
H 24.01857 10.70486 18.51047
H 22.52664 10.72318 17.65953
H 18.81301 9.33215 18.68298
H 18.20113 9.61341 20.24641
C 20.77156 17.78893 24.47878
C 22.19353 17.64908 25.06968
C 23.01072 18.94602 24.90958
O 23.23067 19.32373 23.54415
C 24.56714 19.10963 23.16633
N 22.16699 17.39488 26.50192
H 20.23368 16.82844 24.48263
H 20.84773 18.17250 23.44412
H 20.14066 18.43539 25.11268
H 22.70783 16.76593 24.57144
H 23.91606 18.86092 25.53427
H 22.49811 19.69520 25.45016
H 25.25508 19.78412 23.74586
H 24.61098 19.45744 22.12776
H 24.76920 18.03650 23.22925
H 21.89383 16.44713 26.78427
H 21.47640 17.95029 26.95904
C 20.34778 24.50380 23.00282
C 20.50968 23.14082 23.57284
C 19.22869 22.33528 23.23458
O 19.23428 21.06825 23.85353
C 18.20658 20.28912 23.21595
N 21.75023 22.49782 23.08396
H 19.58309 25.12655 23.52703
H 20.08529 24.35816 21.94481
H 21.35242 24.95132 23.02561
H 20.60794 23.21154 24.65831
H 19.31894 22.12929 22.14298
H 18.25185 22.86259 23.50376
H 17.98398 19.52004 23.93858
H 18.53979 19.74353 22.29414
H 17.32730 20.88233 22.89829
H 21.85222 21.66704 23.60900
H 21.37919 22.14646 22.17311
C 18.01513 20.51030 19.23914
C 16.99622 19.65770 18.49753
C 15.84253 20.48984 18.02681
O 14.86595 19.64556 17.45742
C 13.84242 20.26818 16.76294
N 17.64333 18.97672 17.32464
H 18.49810 21.25278 18.58701
H 18.80287 19.88657 19.67961
H 17.46962 21.01987 20.07125
H 16.50015 18.91719 19.13633
H 16.20712 21.19966 17.26350
H 15.44065 21.07978 18.89073
H 13.48600 21.16211 17.27375
H 12.98239 19.56463 16.60981
H 14.21759 20.48641 15.73245
H 16.89289 18.73544 16.67470
H 18.22748 19.69362 16.90793
C 23.76143 13.05748 25.09177
C 22.54361 12.36255 24.55759
C 21.20955 13.12342 24.77064
O 20.89739 13.41721 26.17668
C 19.69944 14.07367 26.32203
........
Back to the piece:

“The next one probably won’t be called stimulus because this one has kind of a bad name,” Capuano said. But that doesn’t bother him. “Whatever they come up with, that’s fine, I’ll use whatever term they want, he said. “If it creates jobs, I’ll be for it.”

So consider again the analogy of stimulus spending as an alarm clock that jolts the economy awake. Two Senate candidates, both Democrats, want to set the alarm again: Michael Capuano and Alan Khazei, who wants to turn it up.

The two Republicans, Scott Brown and Jack E. Robinson, want to turn it off. They say it’s too expensive and doesn’t really work.

And then Democrats Steve Pagliuca and Martha Coakley are iffy about setting it again. They’re gonna sleep on it.
